/ adjust pixels at a time count for mousewheel Mousewheel.system_scroll_override.enabled Mousewheel.system_scroll_override_on_root_content.enabled / adjust multiply factor for mousewheel
********
The following is a DFT calculation (PBE) of a relaxed structure of Mn3Si.

Values from the calculation:
Energy of formation from the pure elements   -1.3 eV per formula unit
Crystal system   cubic
Calculated total energy   -8.56 eV per atom

Cell: 4.000 4.000 4.000 Å, 60.00 60.00 60.00°
Fractional coordinates of all 4 atoms:
Mn1 0.000 0.000 0.000
Mn2 0.250 0.250 0.250
Mn3 0.750 0.750 0.750
Si1 0.500 0.500 0.500
********
• The crystal structures stop here:
There is just one main adjustment to be made: 5 - good for either a mouse or a trackpad in 1080p, feel free to increase it in 4K (10-20) or decrease it in 768p and/or some trackpads (1-5). iron, steel and other metal industries / economics / general. Speaking of keyboard smooth scrolling, it still has performance issues in v85 despite the workarounds used. Many translation examples sorted by field of work of smooth scroll. Much easier to achieve it via the keyboard instead, if you tap arrows steadily, around 3 times per second. Contiguous smoothing is still limited by the number of notches you can scroll at once, wheel type and dexterity.
== Materials data, kept here for reference ==
********
[1]
Compound: Nd2Mo3O12
Source: the Materials Project database
Functional: r²SCAN
Structure: optimized geometry

Computed properties:
* energy of formation from the pure elements: -2.7408 eV/atom
* electronic total energy: -0.5519 Ha/atom

Unit cell a=6.9318 b=6.9318 c=11.8236 alpha=99.79 beta=99.79 gamma=114.37
Last column: nearest neighbours and their distance in Å.
Atoms (fractional coordinates):
Nd 0.0446 0.2922 0.0898  8 O 2.42-2.54
Nd 0.2922 0.0446 0.5898  8 O 2.42-2.54
Nd 0.7078 0.9554 0.4102  8 O 2.42-2.54
Nd 0.9554 0.7078 0.9102  8 O 2.42-2.54
Mo 0.1265 0.8735 0.2500  4 O 1.74-1.81
Mo 0.2148 0.4636 0.4266  4 O 1.75-1.83
Mo 0.4636 0.2148 0.9266  4 O 1.75-1.83
Mo 0.5364 0.7852 0.0734  4 O 1.75-1.83
Mo 0.7852 0.5364 0.5734  4 O 1.75-1.83
Mo 0.8735 0.1265 0.7500  4 O 1.74-1.81
O 0.0432 0.4377 0.2910  1 Mo 1.76
O 0.0823 0.6721 0.1164  1 Mo 1.81
O 0.1081 0.1939 0.4562  1 Mo 1.83
O 0.1265 0.2033 0.7178  1 Mo 1.74
O 0.1939 0.1081 0.9562  1 Mo 1.83
O 0.2033 0.1265 0.2178  1 Mo 1.74
O 0.2190 0.6629 0.5416  1 Mo 1.75
O 0.3279 0.9177 0.3836  1 Mo 1.81
O 0.3371 0.7810 0.9584  1 Mo 1.75
O 0.4277 0.5221 0.0987  1 Mo 1.76
O 0.4377 0.0432 0.7910  1 Mo 1.76
O 0.4779 0.5723 0.4013  1 Mo 1.76
O 0.5221 0.4277 0.5987  1 Mo 1.76
O 0.5623 0.9568 0.2090  1 Mo 1.76
O 0.5723 0.4779 0.9013  1 Mo 1.76
O 0.6629 0.2190 0.0416  1 Mo 1.75
O 0.6721 0.0823 0.6164  1 Mo 1.81
O 0.7810 0.3371 0.4584  1 Mo 1.75
O 0.7967 0.8735 0.7822  1 Mo 1.74
O 0.8061 0.8919 0.0438  1 Mo 1.83
O 0.8735 0.7967 0.2822  1 Mo 1.74
O 0.8919 0.8061 0.5438  1 Mo 1.83
O 0.9177 0.3279 0.8836  1 Mo 1.81
O 0.9568 0.5623 0.7090  1 Mo 1.76


[2]
Compound: Ni3Mo
Source: the Materials Project database
Functional: r²SCAN
Structure: optimized geometry

Computed properties:
* energy of formation from the pure elements: -0.0524 eV/atom
* electronic total energy: -0.5717 Ha/atom

Unit cell a=4.2017 b=4.9705 c=4.4277 alpha=90.00 beta=90.00 gamma=90.00
Last column: nearest neighbours and their distance in Å.
Atoms (fractional coordinates):
Ni 0.2500 0.0015 0.1593  8 Ni 2.47-2.56, 4 Mo 2.52-2.57
Ni 0.2500 0.2500 0.6663  4 Mo 2.49-2.54, 8 Ni 2.51-2.56
Ni 0.2500 0.4985 0.1593  8 Ni 2.47-2.56, 4 Mo 2.52-2.57
Ni 0.7500 0.5015 0.8407  8 Ni 2.47-2.56, 4 Mo 2.52-2.57
Ni 0.7500 0.7500 0.3337  4 Mo 2.49-2.54, 8 Ni 2.51-2.56
Ni 0.7500 0.9985 0.8407  8 Ni 2.47-2.56, 4 Mo 2.52-2.57
Mo 0.2500 0.7500 0.6544  12 Ni 2.49-2.57
Mo 0.7500 0.2500 0.3456  12 Ni 2.49-2.57


[3]
Compound: SiNi3Mo2
Source: the Materials Project database
Functional: r²SCAN
Structure: optimized geometry

Computed properties:
* energy of formation from the pure elements: -0.3417 eV/atom
* electronic total energy: -0.6058 Ha/atom

Unit cell a=4.7262 b=4.7262 c=7.4689 alpha=90.00 beta=90.00 gamma=120.00
Last column: nearest neighbours and their distance in Å.
Atoms (fractional coordinates):
Si 0.0000 0.0000 0.0000  6 Ni 2.33
Si 0.0000 0.0000 0.5000  6 Ni 2.33
Ni 0.1696 0.3393 0.2500  4 Ni 2.32-2.41, 2 Si 2.33
********
Double click on general.smoothScroll to set it to true.Or else just install add-on smoothwheel. subprefs like // control some of the animation // timing. indicates whether or not a scroll with // origin Lines will be animated smoothly, and e.g.
Acceleration kicking after the 4th notch can be annoying at times, but won't impact users smashing the wheel. QUOTE Firefox Jerky ScrollingIf anyone having a jerky/stuttering/lagging when scrolling a webpage in Firefox, here's a fix.Type in " about:config" in Firefox (address bar) and enter general.smoothScroll under filter. Clamp, // The following scroll origins also are associated with prefs of the form // general.smoothScroll.The attorney generals argue that Floridas law will harm LGBTQ+ youth. Moss special interpolation algorithm can make every mouse roll as smooth and silky as possible Uncheck 'smooth-scroll list boxes' then click Apply and OK Method 2: Open Control Panel and look for Mouse Smooth scrolling has gotten a lot easier smoothScroll to set it to true Best smooth scrolling extension for Firefox Best smooth scrolling. Effortlessly smooth or fast when you need it. All in one smooth scroll Featuring, this week: The plight of LGBTQ+ Afghans. Do more, and scrolling gets accelerated proportionally, while still smooth and fully trackable. Natural Smooth Scrolling aims for smoothness at a slow pace and typically 1-3 notches at once. It's as if all these engineers grow up with apple's 2-button mouse and still haven't learned to use a wheel. There is only a narrow interval for contiguous smoothing and even that is too fast and tiresome for reading. Do more, can't even track content anymore. Do less notches at once or at a slower pace, and it stutters. Smooth scrolling implementations in firefox, edge and chrome feel unintuitive, unergonomic and annoying.